Tuesday, March 30, 2010

Hello, Baby Roy!

Joshua Scott Lochhead
March 26, 2010
12:21 p.m.
9 lbs. 9 oz.
21 1/2 inches

Last Moment Pregnant Pics

The night before our induction--"Quick! I haven't taken any pregnant pics yet!"

First moments at the hospital on the BIG DAY...

Monday, March 22, 2010

"Pop Down, Mommy!"

The stool, made by Papa LeRoy, has opened up a whole new world for Gracie. The counters are now within reach, a seat can be established wherever she goes, and if turned upside down, this makes a nice crib for her baby...

Climbing up on the stool, CHECK. Getting down from standing on the stool...

...has GOT to be the next skill learned. At this point she climbs up and then wants help from Mom or Dad to "pop down." Then she climbs right back up. And asks for help back down. Every two seconds or so. This definitely enriches our time making dinner--together! :)

Fishies, Hall Running, and Elevators

So obviously in January and February we spent a lot of time in the hospital. G'ma Dorothy kicked off the whole party with successful brain surgery--a tumor completely removed and is now doing GREAT! G'ma Caroline then arrived after G'ma Dorothy went home and stayed with us for five weeks. And not to be left out, Papa LeRoy came up for heart surgery in mid-February. He is recovering like a champ and is trying to take it slow with his new heart valve and a pacemaker--but those Webers are hard to keep down! :)

Calculated crystals, as found in the file =
- - -
Calculated X-ray diffraction stick pattern of Sr5Ca4Mg2 for Cu Ka, from a crystal structure in Alexandria, relaxed with GGA-PBE.
Peak positions follow from Bragg's law for the DFT cell and can differ from measured ones.

Top 12 peaks for 5 to 70 degrees two-theta, sorted by position:
Position (°2θ)  Rel. int.  h k l
26.01  22  2 5 0
26.25  28  3 1 0
26.60  28  0 4 1
27.12  31  3 2 0
27.99  100  1 4 1
28.57  43  1 7 0
28.79  81  2 2 1
29.10  41  2 6 0
30.10  26  2 3 1
30.39  28  1 5 1
43.85  23  0 0 2
46.12  26  1 10 1

Structure:
Lattice parameters (Å, degrees): 10.298 22.934 4.130 90.00 90.00 90.00
Sites, in units of the cell vectors:
Sr 0.000 0.000 0.000
Sr 0.131 0.424 0.000
Sr 0.235 0.226 0.000
Sr 0.265 0.726 0.000
Sr 0.369 0.924 0.000
Sr 0.500 0.500 0.000
Sr 0.631 0.076 0.000
Sr 0.735 0.274 0.000
Sr 0.765 0.774 0.000
Sr 0.869 0.576 0.000
Ca 0.068 0.848 0.500
Ca 0.209 0.577 0.500
Ca 0.291 0.077 0.500
Ca 0.432 0.348 0.500
Ca 0.568 0.652 0.500
Ca 0.709 0.923 0.500
Ca 0.791 0.423 0.500
Ca 0.932 0.152 0.500
Mg 0.016 0.306 0.500
Mg 0.484 0.806 0.500
Mg 0.516 0.194 0.500
Mg 0.984 0.694 0.500

~~~~~

Calculated X-ray diffraction stick pattern of MgMn6O7F5 for a wavelength of 1.5418 Å, from DFT lattice parameters and positions (PBE+U).

Structure:
```
MgMn6O7F5
1.0
5.050 0.000 0.000
0.145 5.696 0.000
0.318 0.813 7.844
Mg Mn O F
1 6 7 5
direct
0.000 0.000 0.000
0.012 0.617 0.822
0.487 0.841 0.168
0.490 0.509 0.507
0.538 0.170 0.810
0.989 0.002 0.475
0.996 0.384 0.168
0.169 0.675 0.068
0.313 0.809 0.402
0.326 0.449 0.728
0.676 0.869 0.926
0.696 0.208 0.585
0.850 0.066 0.235
0.854 0.344 0.944
0.157 0.956 0.752
0.195 0.323 0.380
0.331 0.167 0.042
0.689 0.548 0.285
0.822 0.697 0.594
```

The 12 most intense peaks (2θ from 15° to 90°), most intense first:
- (1 1 1), 24.97°, rel. 100
- (-1 1 1), 26.05°, rel. 86
- (2 2 2), 51.27°, rel. 48
- (1 1 -2), 34.35°, rel. 46
- (1 -1 2), 33.83°, rel. 28
- (1 -2 1), 39.36°, rel. 22
- (0 2 -1), 34.76°, rel. 21
- (2 0 0), 35.59°, rel. 19
- (-1 1 4), 51.80°, rel. 18
- (1 1 4), 50.20°, rel. 18
- (2 0 3), 49.23°, rel. 17
- (1 -3 0), 52.07°, rel. 16

~~~~~

Te6Br2O11: theoretical X-ray diffraction stick pattern (Cu Kα (weighted mean of Kα1 and Kα2)), based on a DFT-relaxed cell (GGA-PBE, the Materials Project).

Peak list (10 most intense, 10 to 90 degrees two-theta, low angle first)
2θ 18.4, I = 17
2θ 22.3, I = 42
2θ 25.6, I = 58
2θ 26.8, I = 14
2θ 30.6, I = 100
2θ 33.7, I = 14
2θ 34.1, I = 18
2θ 37.0, I = 21
2θ 45.1, I = 16
2θ 55.5, I = 16

Crystal structure
Unit cell a=6.969 b=6.969 c=15.938 alpha=90.00 beta=90.00 gamma=60.28
Element x y z (fractional)
Te: 0.069 0.931 0.642
Te: 0.069 0.931 0.858
Te: 0.216 0.475 0.085
Te: 0.216 0.475 0.415
Te: 0.475 0.216 0.585
Te: 0.475 0.216 0.915
Te: 0.525 0.784 0.085
Te: 0.525 0.784 0.415
Te: 0.784 0.525 0.585
Te: 0.784 0.525 0.915
Te: 0.931 0.069 0.142
Te: 0.931 0.069 0.358
Br: 0.138 0.528 0.750
Br: 0.472 0.862 0.750
Br: 0.528 0.138 0.250
Br: 0.862 0.472 0.250
O: 0.038 0.202 0.596
- - -

During this time, Gracie fell in love with a new "playground." She got used to visiting grandparents after work in the evenings and on the weekends. She became our tour guide along the pathway we'd follow in the hospital--strutting down the hallway, swinging her arms, she'd tell you when we were getting close to the fish tank in the surgery waiting room and knew when the elevators were right around the corner. This, of course, added a whole new category of words for her vocabulary:
"El-e-va-tor" (this brought grins to anyone riding with us...)
"Push buttons" (yes, she only pressed the "need assistance" button ONCE on an elevator)
"March, march...!" (this is how we got her to make it down the long hallways)
"Ba-yoon!" (no hospital room is complete without one of these air-filled decorations)
"Bite." (any poor patient we visited was accosted by this girl who loves to share food)

We are anxious to see how she handles seeing Mom and Dad in the hospital with Baby Brother...we are sure that G'ma and G'pa will have to stop at the fish tank before they come up the elevator when they bring her. :)

Together With Family

We're still remembering our week at the farm to celebrate G'ma.
It was so great to have everyone gathered together...
I couldn't resist taking a few group shots... :)

The Moser Kids--Bill, Brad, Greg, Christi, and Cindy

The Moser Grandkids--Courtney, Jake, Ellie, Ben, Katie,
Megan, Zach, Erin, Garrett, and Allie

The Moser Kids with their cousins, The Jackshas, and Aunt MaryAnn and Rita
(this was the most tame of all the pictures...this group knows how to have fun!)

Daddy and Gracie getting ready for the funeral. Grace loves faces and skin--
and when she gets tired she feels your face like she's reading Braille... :)

Monday, March 8, 2010

Sweet Caroline

G'ma Caroline Moser
June 29, 1929--February 21, 2010

Blueberry muffins on her hospital bed
A picnic made for three
G'ma Caroline and I stole bites
Of this delicious Costco delicacy
Between handing "More, peez" bites to Gracie.

If I'd known this would've been the last time we'd be together,
I wouldn't have left.
But now, amongst many other memory connectors,
G'ma will be on my mind every time I get blueberry muffins at Costco.

It's been 3 weeks since G'ma has passed and I haven't posted because I have been unable to capture how special she was to us. After a rough year filled with doctor appointments she spent her last 5 weeks in the hospital and nursing home here in Spokane. And though her body was failing her, the last few weeks of her life she spent with great purpose--making special time with each of us, praying with roommates and guests coming to visit her, and sharing her heart with us during this part of her journey.

We were able to spend five days with family over the week of the funeral. It was so comforting just to be around other people who loved her as much as we do. My sister wrote the most beautiful eulogy, by my grandma's request, and I've included part of it below, as it so greatly captured Grandma Caroline's life.

Eulogy Excerpt:

"...Over the past few months, Grandma’s body began to fail her. It was tired and Grandma knew it. She knew God would be calling her home and yet, she orchestrated special moments with each of her kids and her grandchildren. Even from her hospital bed, she was thinking of others' pain and sorrow. She did her best to help US cope with the thought of going on without her. She talked openly of dying and meeting Jesus. She talked of her fears of leaving us behind, and her excitement to meet God. She made me promise that when I gave her eulogy that I wouldn’t idolize her by listing everything good that she had ever done…she said that the people who really mattered, were the people who already knew her. They knew her accomplishments, they knew her sorrows, and they knew her heart. So this is her personalized message to you:

Dearest family, neighbors, parishioners, Community members, and friends,

I want you to know that I have enjoyed every moment I have spent with you over the years. I so enjoyed getting to know you and love you. Each of you brought something very special to my life, and each of you has a very special place in my heart.

If I can leave you with anything it is this…when our daughter Pam died, our family was devastated. I didn’t know how I could go on, and a very dear friend invited me to a Bible Study. I found the comfort and peace I was searching for through Jesus. Accepting Christ as my Savior changed my life. My hope for each of you is that you will invite Jesus into your heart, make Him Master of your life, and Savior of your soul.

May God bless you and your families,

With all my Love…Caroline

(Someone pasted records of crystals at this point)
# InSb3Pt12
Computed PXRD pattern, Cu Kα (λ = 1.5418 Å). Input: a DFT-relaxed cell (GGA-PBE, Alexandria).
Neutral-atom scattering factors, no anomalous dispersion.

Most intense lines, 15 to 90 degrees two-theta, by angle:
two_theta	I (rel.)
32.14	12.1
37.88	100.0
38.20	50.6
41.47	14.9
42.27	33.2
45.17	39.9
63.57	20.3
78.90	24.2

Crystal structure
a b c (Å): 5.6454 5.7115 17.3361
angles (deg): 90.00 99.34 90.00
Space group Cm (No. 8)
Inequivalent atoms, fractional coordinates:
In1 0.0000 0.0000 0.0000 x2
Sb1 0.1192 0.0000 0.2402 x2
Sb2 0.2450 0.0000 0.4932 x2
Sb3 0.3804 0.5000 0.7598 x2
Pt1 0.0009 0.5000 0.0018 x2
Pt2 0.1216 0.5000 0.2450 x2
Pt3 0.1904 0.2500 0.8803 x4
Pt4 0.2392 0.5000 0.4826 x2
Pt5 0.3093 0.2541 0.6234 x4
Pt6 0.3108 0.2500 0.1224 x4
Pt7 0.3799 0.0000 0.7601 x2
Pt8 0.4311 0.2501 0.3644 x4

=====

# 1
Structure and theoretical powder diffractogram of ErAsSe (a DFT-relaxed cell (PBE, the Materials Project); Cu Kα).
Kinematic intensities with the Lorentz-polarization factor, no thermal factor.

Structure:
```
data_ErAsSe
_chemical_formula_sum 'Er4 As4 Se4'
_symmetry_space_group_name_H-M 'P n m a'
_symmetry_Int_Tables_number 62
_cell_length_a 17.466
_cell_length_b 3.886
_cell_length_c 3.900
_cell_angle_alpha 90.00
_cell_angle_beta 90.00
_cell_angle_gamma 90.00
loop_
_symmetry_equiv_pos_as_xyz
'x,y,z'
'-x,-y,-z'
'-x+1/2,-y,z+1/2'
'x+1/2,y,-z+1/2'
'x+1/2,-y+1/2,-z+1/2'
'-x+1/2,y+1/2,z+1/2'
'-x,y+1/2,-z'
'x,-y+1/2,z'
loop_
_atom_site_label
_atom_site_type_symbol
_atom_site_fract_x
_atom_site_fract_y
_atom_site_fract_z
Er1 Er 0.139 0.250 0.241
As1 As 0.001 0.250 0.723
Se1 Se 0.188 0.750 0.742
```

The 10 most intense peaks (15 to 90 degrees two-theta), by angle:
2theta	Rel. int.	hkl
25.04	37	2 1 0
30.72	25	6 0 0
32.53	24	0 1 1
34.15	40	2 1 1
38.65	100	4 1 1
46.57	16	0 0 2
46.75	16	0 2 0
62.17	11	6 2 1
68.88	12	12 0 1
87.32	11	12 2 1

# 2
Structure and theoretical powder diffractogram of KMgCl3 (a DFT-relaxed cell (PBE, the Materials Project); Cu Kα).
Kinematic intensities with the Lorentz-polarization factor, no thermal factor.

Structure:
```
data_KMgCl3
_chemical_formula_sum 'K4 Mg4 Cl12'
_symmetry_space_group_name_H-M 'P n m a'
_symmetry_Int_Tables_number 62
_cell_length_a 7.075
_cell_length_b 10.032
_cell_length_c 7.030
_cell_angle_alpha 90.00
_cell_angle_beta 90.00
_cell_angle_gamma 90.00
loop_
_symmetry_equiv_pos_as_xyz
'x,y,z'
'-x,-y,-z'
'-x+1/2,-y,z+1/2'
'x+1/2,y,-z+1/2'
'x+1/2,-y+1/2,-z+1/2'
'-x+1/2,y+1/2,z+1/2'
'-x,y+1/2,-z'
'x,-y+1/2,z'
loop_
_atom_site_label
_atom_site_type_symbol
_atom_site_fract_x
_atom_site_fract_y
_atom_site_fract_z
K1 K 0.033 0.250 0.007
Mg1 Mg 0.000 0.000 0.500
Cl1 Cl 0.007 0.750 0.449
Cl2 Cl 0.213 0.526 0.787
```

The 10 most intense peaks (15 to 90 degrees two-theta), by angle:
2theta	Rel. int.	hkl
25.18	25	2 0 0
29.60	21	0 3 1
30.93	84	2 2 0
31.07	77	0 2 2
33.56	21	2 2 1
35.80	58	0 4 0
36.02	100	2 0 2
44.32	12	2 4 0
44.56	14	1 2 3
51.69	65	2 4 2

# 3
(Back to the text)

Radiant…beaming, bright, brilliant. Although I shed tears of sadness because I already miss my Grandma, I can’t help but remember how tired and weak she was…she was ready physically, mentally, and spiritually to meet Jesus. And while I remember how frail she looked the past few months I can only imagine how she transformed when she saw God. I don’t know if she dropped to her knees, stood in awe, or became engulfed in his arms. But, I CAN tell you, she is absolutely RADIANT." --Katie Morrow